(Assignment)
Now copy every line further down that contains the word "in".

(File)
=====
Entry 1:
Formula: C16H18ClF3N4O4S
Source: the OMol25 dataset
Level of theory: ωB97M-V with the def2-TZVPD basis set

## Properties
* SMILES: NC(=O)[C@@H](CCC(F)(F)F)N(CCCc1ncon1)S(=O)(=O)c1ccc(Cl)cc1
* relative energy (zero: lowest compared OMol25 entry of this formula, charge and spin): 0.0 kcal per mole
* LUMO energy: -0.24 eV
* gap between HOMO and LUMO: 9.367 eV
* E_HOMO: -9.611 eV

Last column: Mulliken charge in e.
Cartesian coordinates (Å):
1 O -3.919 1.601 0.137  -0.68
2 O 0.784 3.385 0.093  -0.73
3 O 0.101 2.515 -2.119  -0.80
4 F 0.081 -0.347 4.920  -0.28
5 F -2.026 0.335 4.807  -0.27
6 F -1.405 -1.495 3.738  -0.25
7 Cl 6.510 -0.183 -1.458  -0.20
8 N -1.929 -3.633 -0.129  -0.47
9 N -1.611 -3.307 -2.376  -0.46
10 O -2.901 -3.836 -2.108  -0.17
11 C -2.790 1.877 -0.234  0.23
12 C -3.011 -4.026 -0.742  0.08
13 C -1.109 -3.202 -1.151  0.45
14 C 4.130 0.740 -2.426  -0.95
15 C 4.370 0.622 -0.014  -1.03
16 C 2.867 1.254 -2.229  0.17
17 C 3.063 1.054 0.140  -0.06
18 C 4.895 0.444 -1.300  0.50
19 C 2.290 1.441 -0.970  -0.24
20 N -2.774 2.423 -1.472  -0.29
21 N -0.328 1.028 -0.070  0.49
22 C -1.008 -0.242 4.099  0.74
23 C 0.212 -2.584 -0.901  -0.84
24 C -0.550 -0.204 -0.893  -1.33
25 C 0.056 -1.334 -0.057  0.00
26 C -0.645 0.594 2.883  -0.37
27 C -1.803 0.691 1.891  -1.11
28 C -1.521 1.581 0.658  -0.54
29 S 0.665 2.235 -0.793  1.42
30 H -3.871 -4.434 -0.214  0.42
31 H 4.531 0.559 -3.407  0.44
32 H 4.989 0.390 0.821  0.45
33 H 2.301 1.471 -3.116  0.48
34 H 2.676 1.153 1.156  0.38
35 H -3.655 2.398 -1.960  0.25
36 H -1.923 2.517 -1.994  0.25
37 H 0.734 -2.319 -1.816  0.38
38 H 0.865 -3.280 -0.385  0.45
39 H -1.584 -0.393 -0.966  0.44
40 H -0.110 -0.135 -1.885  0.62
41 H 1.038 -1.033 0.247  0.15
42 H -0.559 -1.522 0.828  0.20
43 H 0.263 0.173 2.459  -0.02
44 H -0.333 1.600 3.240  0.45
45 H -2.658 1.157 2.395  0.62
46 H -2.147 -0.286 1.603  0.26
47 H -1.251 2.555 1.073  0.77

Entry 2:
Formula: C16H18ClN3
Source: the OMol25 dataset
Level of theory: ωB97M-V with the def2-TZVPD basis set

## Properties
* SMILES: Nc1ccc(N2CCN(c3cccc(Cl)c3)CC2)cc1
* relative energy (zero: lowest compared OMol25 entry of this formula, charge and spin): 0.0 kcal per mole
* LUMO energy: 0.83 eV
* gap between HOMO and LUMO: 7.846 eV
* E_HOMO: -7.014 eV

Last column: Mulliken charge in e.
Cartesian coordinates (Å):
1 N -1.509 0.277 -4.767  -0.58
2 C -0.556 -0.057 -3.814  0.96
3 C -0.209 -1.388 -3.585  -0.74
4 C 0.686 -1.726 -2.593  -0.44
5 C 1.266 -0.753 -1.774  0.53
6 C 0.923 0.578 -2.013  -0.23
7 C 0.035 0.917 -3.016  -1.01
8 H -0.212 1.957 -3.178  0.26
9 H 1.344 1.374 -1.420  0.25
10 N 2.199 -1.144 -0.813  0.14
11 C 3.009 -0.172 -0.125  -1.17
12 H 3.303 0.615 -0.820  0.45
13 C 2.281 0.429 1.102  -0.79
14 N 1.360 -0.551 1.643  0.18
15 C 0.018 -0.269 1.757  1.06
16 C -0.385 1.023 2.123  -0.56
17 C -1.724 1.318 2.276  0.13
18 C -2.710 0.363 2.094  -0.58
19 C -2.312 -0.918 1.754  -0.75
20 C -0.979 -1.237 1.585  -0.49
21 H -0.723 -2.244 1.299  0.26
22 H -3.061 -1.683 1.606  0.38
23 H -3.750 0.613 2.221  0.43
24 Cl -2.173 2.929 2.730  -0.24
25 H 0.346 1.792 2.316  0.54
26 C 1.851 -1.899 1.495  -1.19
27 H 2.854 -1.924 1.936  0.38
28 C 1.920 -2.308 0.006  -0.80
29 H 0.967 -2.738 -0.304  0.50
30 H 2.706 -3.065 -0.132  0.29
31 H 1.226 -2.589 2.061  0.46
32 H 3.015 0.724 1.864  0.27
33 H 1.720 1.313 0.801  0.50
34 H 3.921 -0.687 0.198  0.38
35 H 0.958 -2.764 -2.466  0.49
36 H -0.640 -2.163 -4.204  0.28
37 H -1.634 -0.396 -5.507  0.22
38 H -1.481 1.233 -5.089  0.22

Entry 3:
Formula: C16H18ClNO
Source: the OMol25 dataset
Level of theory: ωB97M-V with the def2-TZVPD basis set

## Properties
* SMILES: OCCN(Cc1ccccc1)Cc1ccc(Cl)cc1
* relative energy (zero: lowest compared OMol25 entry of this formula, charge and spin): 215.8 kcal per mole
* LUMO energy: 0.05 eV
* gap between HOMO and LUMO: 8.365 eV
* E_HOMO: -8.316 eV

Last column: Mulliken charge in e.
Cartesian coordinates (Å):
1 O 4.597 0.203 -1.824  -0.51
2 C 3.295 -0.037 -1.120  -0.11
3 H 3.189 -1.183 -0.788  0.19
=====

(Outcome)
Last column: Mulliken charge in e.
Last column: Mulliken charge in e.
Last column: Mulliken charge in e.